Assignment =
Transcribe the listing further down from the first line to the one with "0.981" without additions.

Listing =
+++
Record 1
A plane-wave DFT calculation with GGA+U was carried out for RbFeO2 after structural relaxation.

Geometry as POSCAR:
```
RbFeO2
1.0
3.877 -1.899 2.965
4.353 -3.854 -8.162
2.697 5.900 -1.347
Fe O Rb
4 8 4
direct
0.250 0.485 0.500
0.250 0.015 0.000
0.750 0.985 0.000
0.750 0.515 0.500
0.508 0.906 0.155
0.008 0.094 0.155
0.492 0.094 0.845
0.992 0.594 0.345
0.492 0.406 0.345
0.992 0.906 0.845
0.008 0.406 0.655
0.508 0.594 0.655
0.250 0.653 0.000
0.750 0.153 0.500
0.750 0.347 0.000
0.250 0.847 0.500
```

Summary:
Raw total energy in eV per formula unit: -22.32
Formation energy from the elements in eV per atom: -1.650

Record 2
A plane-wave DFT calculation with GGA+U was carried out for Li2W2O7 after structural relaxation.

Geometry as POSCAR:
```
Li2W2O7
1.0
5.262 0.000 0.000
0.599 6.907 0.000
2.058 2.788 7.987
Li W O
4 4 14
direct
0.093 0.228 0.359
0.365 0.558 0.751
0.635 0.442 0.249
0.907 0.772 0.641
0.197 0.962 0.836
0.291 0.756 0.313
0.709 0.244 0.687
0.803 0.038 0.164
0.056 0.098 0.637
0.095 0.713 0.855
0.170 0.910 0.077
0.226 0.508 0.309
0.306 0.701 0.527
0.352 0.252 0.797
0.449 0.073 0.251
0.551 0.927 0.749
0.648 0.748 0.203
0.694 0.299 0.473
0.774 0.492 0.691
0.830 0.090 0.923
0.905 0.287 0.145
0.944 0.902 0.363
```

Summary:
Raw total energy in eV per formula unit: -75.34
Formation energy from the elements in eV per atom: -2.242
Distance to the lowest polymorph of the same formula in meV/atom: 40

----------

Record 1
Na2La2MgTi2O8: relaxed, PBE-GGA.

a = 3.743 Å, b = 3.743 Å, c = 15.618 Å
α = 90.00°, β = 90.00°, γ = 90.00°
Sites, in units of the cell vectors:
Na  0.250  0.250  0.566
Na  0.750  0.750  0.434
O  0.250  0.250  0.072
O  0.750  0.750  0.583
O  0.750  0.250  0.745
O  0.750  0.750  0.928
O  0.250  0.250  0.417
O  0.250  0.750  0.747
O  0.250  0.750  0.253
O  0.750  0.250  0.255
La  0.750  0.750  0.160
La  0.250  0.250  0.840
Mg  0.250  0.750  0.000
Ti  0.750  0.750  0.698
Ti  0.250  0.250  0.302

Calculated values
The calculation puts the magnetization at 1.684 Bohr magnetons per cell. The symmetry is P-4m2 (115). The relative energy among the computed polymorphs is 0.094 eV per atom.

Record 2
CeGa6Ni: relaxed, PBE-GGA.

a = 4.273 Å, b = 4.273 Å, c = 7.973 Å
α = 90.00°, β = 90.00°, γ = 90.00°
Sites, in units of the cell vectors:
Ga  0.000  0.500  0.165
Ga  0.500  0.000  0.835
Ga  0.000  0.500  0.835
Ga  0.500  0.500  0.350
Ga  0.500  0.000  0.165
Ga  0.500  0.500  0.650
Ce  0.000  0.000  0.500
Ni  0.000  0.000  0.000

Calculated values
The symmetry is P4/mmm (123).

Record 3
Be4AlNi: relaxed, PBE-GGA.

a = 4.253 Å, b = 4.253 Å, c = 4.253 Å
α = 60.00°, β = 60.00°, γ = 60.00°
Sites, in units of the cell vectors:
Be  0.122  0.626  0.626
Be  0.626  0.122  0.626
Be  0.626  0.626  0.122
Be  0.626  0.626  0.626
Al  0.250  0.250  0.250
Ni  0.000  0.000  0.000

Calculated values
The symmetry is F-43m (216).

Record 4
Pr2MgIrO6: relaxed, PBE-GGA.

a = 5.730 Å, b = 5.547 Å, c = 9.661 Å
α = 54.88°, β = 90.00°, γ = 90.00°
Sites, in units of the cell vectors:
O  0.973  0.344  0.748
O  0.527  0.344  0.248
O  0.207  0.253  0.048
O  0.027  0.656  0.252
O  0.203  0.844  0.452
O  0.703  0.156  0.048
O  0.793  0.747  0.952
O  0.293  0.253  0.548
O  0.707  0.747  0.452
O  0.473  0.656  0.752
O  0.797  0.156  0.548
O  0.297  0.844  0.952
Ir  0.500  0.500  0.000
Ir  0.000  0.500  0.500
Mg  0.000  0.000  0.000
Mg  0.500  0.000  0.500
Pr  0.445  0.764  0.249
Pr  0.945  0.236  0.251
Pr  0.555  0.236  0.751
Pr  0.055  0.764  0.749

Calculated values
The calculation puts the magnetization at 2.000 Bohr magnetons per cell. The symmetry is P2_1/c (14).

Record 5
Re3RuN6O14: relaxed, PBE-GGA.

a = 7.913 Å, b = 7.913 Å, c = 16.067 Å
α = 101.86°, β = 101.86°, γ = 90.55°
Sites, in units of the cell vectors:
N  0.047  0.749  0.493
N  0.558  0.097  0.132
N  0.550  0.788  0.019
N  0.251  0.953  0.007
N  0.749  0.047  0.993
N  0.450  0.212  0.981
N  0.212  0.450  0.481
N  0.788  0.550  0.519
N  0.097  0.558  0.632
N  0.442  0.903  0.868
+++

Solution =
Record 1
A plane-wave DFT calculation with GGA+U was carried out for RbFeO2 after structural relaxation.

Geometry as POSCAR:
```
RbFeO2
1.0
3.877 -1.899 2.965
4.353 -3.854 -8.162
2.697 5.900 -1.347
Fe O Rb
4 8 4
direct
0.250 0.485 0.500
0.250 0.015 0.000
0.750 0.985 0.000
0.750 0.515 0.500
0.508 0.906 0.155
0.008 0.094 0.155
0.492 0.094 0.845
0.992 0.594 0.345
0.492 0.406 0.345
0.992 0.906 0.845
0.008 0.406 0.655
0.508 0.594 0.655
0.250 0.653 0.000
0.750 0.153 0.500
0.750 0.347 0.000
0.250 0.847 0.500
```

Summary:
Raw total energy in eV per formula unit: -22.32
Formation energy from the elements in eV per atom: -1.650

Record 2
A plane-wave DFT calculation with GGA+U was carried out for Li2W2O7 after structural relaxation.

Geometry as POSCAR:
```
Li2W2O7
1.0
5.262 0.000 0.000
0.599 6.907 0.000
2.058 2.788 7.987
Li W O
4 4 14
direct
0.093 0.228 0.359
0.365 0.558 0.751
0.635 0.442 0.249
0.907 0.772 0.641
0.197 0.962 0.836
0.291 0.756 0.313
0.709 0.244 0.687
0.803 0.038 0.164
0.056 0.098 0.637
0.095 0.713 0.855
0.170 0.910 0.077
0.226 0.508 0.309
0.306 0.701 0.527
0.352 0.252 0.797
0.449 0.073 0.251
0.551 0.927 0.749
0.648 0.748 0.203
0.694 0.299 0.473
0.774 0.492 0.691
0.830 0.090 0.923
0.905 0.287 0.145
0.944 0.902 0.363
```

Summary:
Raw total energy in eV per formula unit: -75.34
Formation energy from the elements in eV per atom: -2.242
Distance to the lowest polymorph of the same formula in meV/atom: 40

----------

Record 1
Na2La2MgTi2O8: relaxed, PBE-GGA.

a = 3.743 Å, b = 3.743 Å, c = 15.618 Å
α = 90.00°, β = 90.00°, γ = 90.00°
Sites, in units of the cell vectors:
Na  0.250  0.250  0.566
Na  0.750  0.750  0.434
O  0.250  0.250  0.072
O  0.750  0.750  0.583
O  0.750  0.250  0.745
O  0.750  0.750  0.928
O  0.250  0.250  0.417
O  0.250  0.750  0.747
O  0.250  0.750  0.253
O  0.750  0.250  0.255
La  0.750  0.750  0.160
La  0.250  0.250  0.840
Mg  0.250  0.750  0.000
Ti  0.750  0.750  0.698
Ti  0.250  0.250  0.302

Calculated values
The calculation puts the magnetization at 1.684 Bohr magnetons per cell. The symmetry is P-4m2 (115). The relative energy among the computed polymorphs is 0.094 eV per atom.

Record 2
CeGa6Ni: relaxed, PBE-GGA.

a = 4.273 Å, b = 4.273 Å, c = 7.973 Å
α = 90.00°, β = 90.00°, γ = 90.00°
Sites, in units of the cell vectors:
Ga  0.000  0.500  0.165
Ga  0.500  0.000  0.835
Ga  0.000  0.500  0.835
Ga  0.500  0.500  0.350
Ga  0.500  0.000  0.165
Ga  0.500  0.500  0.650
Ce  0.000  0.000  0.500
Ni  0.000  0.000  0.000

Calculated values
The symmetry is P4/mmm (123).

Record 3
Be4AlNi: relaxed, PBE-GGA.

a = 4.253 Å, b = 4.253 Å, c = 4.253 Å
α = 60.00°, β = 60.00°, γ = 60.00°
Sites, in units of the cell vectors:
Be  0.122  0.626  0.626
Be  0.626  0.122  0.626
Be  0.626  0.626  0.122
Be  0.626  0.626  0.626
Al  0.250  0.250  0.250
Ni  0.000  0.000  0.000

Calculated values
The symmetry is F-43m (216).

Record 4
Pr2MgIrO6: relaxed, PBE-GGA.

a = 5.730 Å, b = 5.547 Å, c = 9.661 Å
α = 54.88°, β = 90.00°, γ = 90.00°
Sites, in units of the cell vectors:
O  0.973  0.344  0.748
O  0.527  0.344  0.248
O  0.207  0.253  0.048
O  0.027  0.656  0.252
O  0.203  0.844  0.452
O  0.703  0.156  0.048
O  0.793  0.747  0.952
O  0.293  0.253  0.548
O  0.707  0.747  0.452
O  0.473  0.656  0.752
O  0.797  0.156  0.548
O  0.297  0.844  0.952
Ir  0.500  0.500  0.000
Ir  0.000  0.500  0.500
Mg  0.000  0.000  0.000
Mg  0.500  0.000  0.500
Pr  0.445  0.764  0.249
Pr  0.945  0.236  0.251
Pr  0.555  0.236  0.751
Pr  0.055  0.764  0.749

Calculated values
The calculation puts the magnetization at 2.000 Bohr magnetons per cell. The symmetry is P2_1/c (14).

Record 5
Re3RuN6O14: relaxed, PBE-GGA.

a = 7.913 Å, b = 7.913 Å, c = 16.067 Å
α = 101.86°, β = 101.86°, γ = 90.55°
Sites, in units of the cell vectors:
N  0.047  0.749  0.493
N  0.558  0.097  0.132
N  0.550  0.788  0.019
N  0.251  0.953  0.007
N  0.749  0.047  0.993
N  0.450  0.212  0.981